Last week, the United States House of Representatives approved legislation that would remove the statues of Confederate officials from the United States Capitol, as well as the bust of Supreme Court Justice Roger B. Taney, who wrote the now-infamous “Dred Scott” decision in 1857 that ruled black people were not entitled to citizenship. The legislation passed the house with a vote of 285 to 120, with a total of 67 Republicans joining all Democrats who voted in favor of the bill.
## Records of crystals that have nothing to do with the piece
-- begin --
Record 1
# LiTl2GaF6
Calculated powder XRD pattern, CuKα. Input: a crystal structure in Alexandria, relaxed with PBE.
No peak broadening, texture or thermal motion is included.

Principal peaks in the range 2θ = 15–90°, in order of falling intensity:
two_theta	intensity
24.26	100
29.60	55
38.63	55
49.41	27
38.99	16
49.70	14
46.35	14
58.92	14
67.06	14
34.84	12

Structural model:
Cell: 6.036 6.036 5.151 Å, 90.00 90.00 120.00°
Fractional coordinates of all 10 atoms:
Li (0.000, 0.000, 0.000)
Tl (0.333, 0.667, 0.756)
Tl (0.667, 0.333, 0.244)
Ga (0.000, 0.000, 0.500)
F (0.145, 0.291, 0.270)
F (0.145, 0.855, 0.270)
F (0.291, 0.145, 0.730)
F (0.709, 0.855, 0.270)
F (0.855, 0.145, 0.730)
F (0.855, 0.709, 0.730)

Record 2
# Li2Sn3Hg
Calculated powder XRD pattern, CuKα. Input: a crystal structure in Alexandria, relaxed with PBE.
No peak broadening, texture or thermal motion is included.

Principal peaks in the range 2θ = 15–90°, in order of falling intensity:
two_theta	intensity
29.31	100
23.15	93
38.88	82
32.98	80
33.41	71
20.02	63
37.68	60
44.56	52
41.04	47
40.68	44

Structural model:
Cell: 5.143 5.143 10.816 Å, 94.83 94.83 96.65°
Fractional coordinates of all 12 atoms:
Li (0.107, 0.630, 0.862)
Li (0.370, 0.893, 0.638)
Li (0.630, 0.107, 0.362)
Li (0.893, 0.370, 0.138)
Sn (0.194, 0.308, 0.492)
Sn (0.308, 0.194, 0.992)
Sn (0.452, 0.548, 0.250)
Sn (0.548, 0.452, 0.750)
Sn (0.692, 0.806, 0.008)
Sn (0.806, 0.692, 0.508)
Hg (0.071, 0.929, 0.250)
Hg (0.929, 0.071, 0.750)

Record 3
# Tb5PmTm12
Calculated powder XRD pattern, CuKα. Input: a crystal structure in Alexandria, relaxed with PBE.
No peak broadening, texture or thermal motion is included.

Principal peaks in the range 2θ = 15–90°, in order of falling intensity:
two_theta	intensity
31.14	100
36.12	51
52.00	36
61.84	28
61.93	14
64.95	12
84.97	12
87.79	8
85.06	6
87.65	6

Structural model:
Cell: 7.874 7.874 14.919 Å, 90.00 90.00 143.22°
Fractional coordinates of all 18 atoms:
Tb (0.000, 0.000, 0.000)
Tb (0.167, 0.833, 0.500)
Tb (0.333, 0.667, 0.000)
Tb (0.667, 0.333, 0.000)
Tb (0.833, 0.167, 0.500)
Pm (0.500, 0.500, 0.500)
Tm (0.000, 0.000, 0.331)
Tm (0.000, 0.000, 0.669)
Tm (0.167, 0.833, 0.167)
Tm (0.167, 0.833, 0.833)
Tm (0.333, 0.667, 0.332)
Tm (0.333, 0.667, 0.668)
Tm (0.500, 0.500, 0.167)
Tm (0.500, 0.500, 0.833)
Tm (0.667, 0.333, 0.332)
Tm (0.667, 0.333, 0.668)
Tm (0.833, 0.167, 0.167)
Tm (0.833, 0.167, 0.833)

Record 4
# K3UAg2Cl9
Calculated powder XRD pattern, CuKα. Input: a crystal structure in Alexandria, relaxed with PBE.
No peak broadening, texture or thermal motion is included.

Principal peaks in the range 2θ = 15–90°, in order of falling intensity:
two_theta	intensity
16.40	100
33.15	57
23.56	40
22.98	39
36.81	33
37.58	25
48.21	20
41.07	18
46.95	17
50.67	13

Structural model:
Cell: 7.551 7.551 9.604 Å, 90.00 90.00 120.00°
Fractional coordinates of all 15 atoms:
K (0.000, 0.000, 0.000)
K (0.333, 0.667, 0.763)
K (0.667, 0.333, 0.237)
U (0.000, 0.000, 0.500)
Ag (0.333, 0.667, 0.157)
-- stop --
## Here the piece continues
With the passage of the bill, certain statues or busts publicly displayed around the Capitol would be removed – notably, any who voluntarily served in the military or the government of the Confederacy or a state while it was considered “in rebellion” with the United States. It is now up to the architect of the Capitol to identify the statues, while the Joint Committee on the Library will ultimately be tasked with taking them off the grounds?
- - -
[1]
This entry pairs a crystal structure of Co2CuCl6 with its simulated powder X-ray diffraction pattern. Radiation: Cu Kα. Structure: a DFT-relaxed cell (PBE, Alexandria).
No peak broadening, texture or thermal motion is included.

```
data_Co2CuCl6
_chemical_formula_sum 'Co8 Cu4 Cl24'
_cell_length_a 13.411
_cell_length_b 13.471
_cell_length_c 6.185
_cell_angle_alpha 90.00
_cell_angle_beta 114.33
_cell_angle_gamma 90.00
_symmetry_space_group_name_H-M 'C 1 2/c 1'
_symmetry_Int_Tables_number 15
loop_
_symmetry_equiv_pos_as_xyz
'x,y,z'
'-x,-y,-z'
'-x,y,-z+1/2'
'x,-y,z+1/2'
'x+1/2,y+1/2,z'
'-x+1/2,-y+1/2,-z'
'-x+1/2,y+1/2,-z+1/2'
'x+1/2,-y+1/2,z+1/2'
loop_
_atom_site_label
_atom_site_type_symbol
_atom_site_fract_x
_atom_site_fract_y
_atom_site_fract_z
_atom_site_occupancy
Co1 Co 0.231 0.084 0.351 1
Cu1 Cu 0.000 0.276 0.250 1
Cl1 Cl 0.099 0.375 0.569 1
Cl2 Cl 0.108 0.188 0.115 1
Cl3 Cl 0.202 0.069 0.685 1
```

Principal peaks in the range 2θ = 15–90°, in order of rising 2θ:
- d 5.614, 15.79°, I = 85, hkl 1 1 -1
- d 4.525, 19.62°, I = 100, hkl 2 2 0
- d 4.322, 20.55°, I = 18, hkl 0 2 1
- d 4.211, 21.10°, I = 42, hkl 2 2 -1
- d 3.899, 22.81°, I = 22, hkl 3 1 0
- d 3.166, 28.18°, I = 76, hkl 1 3 1
- d 2.977, 30.01°, I = 17, hkl 4 2 -1
- d 2.954, 30.26°, I = 20, hkl 2 4 0
- d 2.117, 42.70°, I = 19, hkl 6 0 -2
- d 2.015, 44.99°, I = 23, hkl 1 5 -2
- d 1.810, 50.43°, I = 34, hkl 5 5 0
- d 1.739, 52.64°, I = 15, hkl 6 2 -3

---

[2]
This entry pairs a crystal structure of CoCuCl2 with its simulated powder X-ray diffraction pattern. Radiation: Cu Kα. Structure: a DFT-relaxed cell (PBE, Alexandria).
No peak broadening, texture or thermal motion is included.

```
data_CoCuCl2
_chemical_formula_sum 'Co3 Cu3 Cl6'
_cell_length_a 3.3790
_cell_length_b 3.3790
_cell_length_c 22.3580
_cell_angle_alpha 90.00
_cell_angle_beta 90.00
_cell_angle_gamma 120.00
_symmetry_space_group_name_H-M 'R 3 m'
_symmetry_Int_Tables_number 160
_symmetry_space_group_name_Hall 'R 3 -2"'
loop_
_atom_site_label
_atom_site_type_symbol
_atom_site_fract_x
_atom_site_fract_y
_atom_site_fract_z
_atom_site_occupancy
Co1 Co 0.0000 0.0000 0.0000 1
Cu1 Cu 0.0000 0.0000 0.7389 1
Cl1 Cl 0.0000 0.0000 0.2876 1
Cl2 Cl 0.0000 0.0000 0.4644 1
```

Principal peaks in the range 2θ = 15–90°, in order of rising 2θ:
- d 3.726, 23.88°, I = 6, hkl 0 0 6
- d 2.593, 34.60°, I = 100, hkl 1 0 4
- d 2.158, 41.87°, I = 51, hkl 1 0 7
- d 2.021, 44.85°, I = 19, hkl 0 1 8
- d 1.690, 54.30°, I = 34, hkl 1 1 0
- d 1.669, 55.01°, I = 27, hkl 0 1 11
- d 1.648, 55.79°, I = 14, hkl 1 1 3
- d 1.491, 62.29°, I = 4, hkl 0 0 15
- d 1.415, 66.00°, I = 13, hkl 0 2 4
- d 1.330, 70.84°, I = 9, hkl 0 2 7
- d 1.187, 80.96°, I = 8, hkl 2 0 11
- d 1.118, 87.22°, I = 9, hkl 1 1 15

---

[3]
This entry pairs a crystal structure of CoCu2Cl6 with its simulated powder X-ray diffraction pattern. Radiation: Cu Kα. Structure: a DFT-relaxed cell (PBE, Alexandria).
No peak broadening, texture or thermal motion is included.

```
data_CoCu2Cl6
- - -
-- The calculated crystals stop here --
“Removing these statutes will not erase the stain and that of other racist acts in our history, nor will it erase the racism that exists in our country today, but it is an important and necessary step,” House Speaker Nancy Pelosi (D-California) said before the vote. “How can we seek to end the scourge of racism … when we allow the worst perpetrators of that racism to be lauded in the halls of Congress?”
As CBS News reported, under federal law, each state can provide two statues to be placed in the Capitol Statuary Hall, and currently, eleven of these statues depict Confederate officials. Statues removed from Statuary Hall would be returned to their state of origin, and states would be able to replace these statues with ones of other historical figures. Other statues and busts of Confederate officials which did not originate from a certain state would also be removed and held in storage by the architect of the Capitol.
According to a report from the Southern Poverty Law Center, 168 Confederate monuments and symbols have already been removed across the U.S. in 2020.
Beyond Confederates
Actually identifying the individual statues that will be removed isn’t as straightforward as it sounds – because many actual “Confederate” figures have already been removed. There are other figures that also seem problematic, as The Washington Examiner reported. In addition to the aforementioned Taney, the statues of Vice President John C. Calhoun will be removed, as will Gov. Charles Brantley Aycock; despite the fact that neither actually served in the military or government of the Confederacy.
[Crystal structures, kept here for reference]
<<<
1.
Structure and calculated powder diffraction line list of Li9Mn2Co5O16 (a cell relaxed with PBE+U; copper Kα).
Lines closer than 0.1° are merged.

Structure:
Cell lengths 2.985, 5.111, 19.596 Å; angles 91.66, 93.16, 105.05 degrees
Fractional coordinates of all 32 atoms:
Li 0.000 0.000 0.000
Li 0.051 0.292 0.815
Li 0.169 0.919 0.438
Li 0.266 0.536 0.055
Li 0.419 0.173 0.686
Li 0.542 0.796 0.314
Li 0.665 0.410 0.939
Li 0.795 0.045 0.563
Li 0.934 0.678 0.190
Mn 0.599 0.109 0.122
Mn 0.728 0.734 0.752
Co 0.103 0.608 0.625
Co 0.225 0.225 0.251
Co 0.373 0.861 0.881
Co 0.482 0.483 0.500
Co 0.859 0.354 0.374
O 0.038 0.462 0.715
O 0.040 0.112 0.904
O 0.120 0.747 0.534
O 0.222 0.094 0.341
O 0.228 0.351 0.158
O 0.323 0.707 0.959
O 0.412 0.995 0.788
O 0.461 0.342 0.590
O 0.501 0.622 0.408
O 0.550 0.972 0.218
O 0.644 0.267 0.039
O 0.683 0.595 0.842
O 0.739 0.872 0.659
O 0.843 0.217 0.465
O 0.914 0.491 0.282
O 0.978 0.867 0.099

The 10 most intense peaks (10 to 90 degrees two-theta), sorted by position:
4.833 Å, 2θ = 18.36°, intensity 100.0
2.571 Å, 2θ = 34.90°, intensity 17.1
2.489 Å, 2θ = 36.09°, intensity 13.6
2.443 Å, 2θ = 36.78°, intensity 11.2
2.153 Å, 2θ = 41.97°, intensity 32.0
2.068 Å, 2θ = 43.77°, intensity 27.7
2.021 Å, 2θ = 44.84°, intensity 25.1
1.491 Å, 2θ = 62.25°, intensity 16.1
1.477 Å, 2θ = 62.91°, intensity 7.8
1.470 Å, 2θ = 63.27°, intensity 7.5

=====

2.
Structure and calculated powder diffraction line list of GdFe3B4O12 (a cell relaxed with PBE+U; copper Kα).
Lines closer than 0.1° are merged.

Structure:
Cell lengths 6.002, 6.002, 6.002 Å; angles 104.20, 104.20, 104.20 degrees
Fractional coordinates of all 20 atoms:
Gd 0.000 0.000 0.000
Fe 0.000 0.443 0.557
Fe 0.443 0.557 0.000
Fe 0.557 0.000 0.443
B 0.059 0.940 0.500
B 0.500 0.059 0.941
B 0.500 0.500 0.500
B 0.941 0.500 0.059
O 0.029 0.782 0.629
O 0.088 0.500 0.912
O 0.218 0.971 0.371
O 0.353 0.500 0.647
O 0.371 0.218 0.971
O 0.500 0.647 0.353
O 0.500 0.912 0.088
O 0.629 0.029 0.782
O 0.647 0.353 0.500
O 0.782 0.629 0.029
O 0.912 0.088 0.500
O 0.971 0.371 0.218

The 10 most intense peaks (10 to 90 degrees two-theta), sorted by position:
5.502 Å, 2θ = 16.11°, intensity 32.2
4.736 Å, 2θ = 18.74°, intensity 28.1
3.589 Å, 2θ = 24.80°, intensity 86.2
2.861 Å, 2θ = 31.27°, intensity 31.0
2.751 Å, 2θ = 32.55°, intensity 100.0
2.379 Å, 2θ = 37.82°, intensity 20.7
2.368 Å, 2θ = 38.00°, intensity 24.3
1.939 Å, 2θ = 46.84°, intensity 23.9
1.710 Å, 2θ = 53.58°, intensity 26.3
1.690 Å, 2θ = 54.28°, intensity 18.8

=====

3.
Structure and calculated powder diffraction line list of Ce2Mo3O12 (a cell relaxed with PBE+U; copper Kα).
Lines closer than 0.1° are merged.

Structure:
Cell lengths 6.926, 6.926, 11.947 Å; angles 100.04, 100.04, 113.04 degrees
Fractional coordinates of all 34 atoms:
Ce 0.048 0.296 0.090
Ce 0.296 0.048 0.590
Ce 0.704 0.952 0.410
Ce 0.952 0.704 0.910
Mo 0.124 0.876 0.250
Mo 0.211 0.462 0.423
Mo 0.462 0.211 0.923
Mo 0.538 0.789 0.077
Mo 0.789 0.538 0.577
Mo 0.876 0.124 0.750
>>>
[Back to the page]
In the case of Calhoun, who served as VP to both Presidents John Quincy Adams and Andrew Jackson, was a strong proponent of state’s right to nullify federal laws, notably those regarding slavery. He was also a supporter of secession for states as a means to respond to anti-slavery laws. Aycock, who was elected governor of North Carolina in the late 19th century, had a similarly divisive history – including being an ardent proponent of the Democratic Party’s efforts to stop black people from voting.
Likewise, James Paul Clarke, who served as senator and governor for Arkansas, was seen as a proponent for keeping white supremacy as a key facet of the Democratic Party platform. Perhaps this is as much about the current Democratic Party trying to erase its racist past, as it is about ending the actual scourge of racism.
Peter Suciu is a Michigan-based writer who has contributed to more than four dozen magazines, newspapers and websites. He regularly writes about military small arms, and is the author of several books on military headgear including A Gallery of Military Headdress, which is available on